Shuck and Jive

Friday, January 27, 2012

What is Religion?

We call it "Science And Religion" this conversation or, at times, contest.   I think the two terms are loaded and imprecise.   I hear people say that science can't explain everything.  I don't disagree, but I am not sure what they mean by saying that.   I don't know if the terms are science and religion so much as knowledge and meaning.   

The broader meaning of science is public knowledge.   What can we know about the universe and how do we know it and how do we communicate with each other about it?   This public knowledge is available to anyone who can develop the skills and learn how to use the tools.   An assertion to be valid must be able to be proved wrong.   This knowledge builds and corrects itself.

Religion, or its new cousin, spirituality, traditionally has been based on special revelation or private revelation.  You go to the cave and a supernatural being gives you the meaning of the world.  You take it on faith.  For those of us who didn't get called to the cave, we are required to trust the messenger.    The Bible, Qur'an, or a contemporary spiritualist provides answers that are not able to be disproved.    

I find this understanding of religion to be problematic.   It does nothing to advance public knowledge or meaning.  It is simply a matter of power.  If you cannot make a reasonable argument that can withstand the critique of public knowledge, then attempt to speak for God and require that people trust you.  Thankfully, this notion of religion (and "spirituality") is being exposed for its fraudulent claims.  

Religion is no longer legitimate as a depository for special revelation.  If it has anything to say about the natural world and its meaning for us, then we can use public knowledge to test its claims.   If it tries to protect its claims from a public test, then it has no legitimacy.  

When someone says to me that science cannot explain everything, I ask what the alternative might be.  Outside of public knowledge, what can be explained and how is it done?  If the answer is some version of "the gods told me" I call it either delusion, wishful thinking, or abuse of power.   I trust no one whose claims cannot be tested.

I think it is time to do away with any claim to special revelation.  This goes for our texts and creeds.   They are products of a time that relied on special revelation to answer life's questions.  This method has proven to be inadequate to describe the universe.    Instead I advocate that religion fully embrace the principles of public knowledge and devote itself to making life meaningful in a public way.  

What can religion be and what is its role?  I think the task of religion is to further the possibility of survival of the human species and to preserve our ecosystem for future generations. It is time to embrace the story of the universe that we are learning via public knowledge and work within that story to inspire a meaningful present and future for human beings. 

Some may argue that for them, religion and/or spirituality is about escaping this universe.  They may suggest that their identity is outside of it and the purpose of life is to transcend their earthly existence via immortal souls and what have you.  I have no argument.  What argument can possibly be given?  This is private revelation and folks are welcome to it.  I have no interest in it and find no value in it for our public life (except that I think it is in our public interest to respect the freedom of private belief). 

I think religion has so much more to offer than private or special revelation or speculation about matters that cannot be disproved.  We are in a unique and perilous position.   Humans have stretched Earth's limits to their breaking point.  We are not living sustainably.   Human beings may become extinct.   Earth will spin for 100s of millions of years whether humans are on board or not.   

The amazing thing is that the universe has evolved consciousness.   We are it.  We are literally the universe's eyes, ears, and thoughts.   That is valuable.  Far more valuable than we may realize.  It is worth preserving.   We have a great work at hand and that is to survive.  We need the best of ourselves.   We need to tell the story of the universe that we are learning through public knowledge and we need to work together to find meaningful images and metaphors that will inspire us to do this courageous work.  That, to me, is religion. 

I make this post in gratitude to two people who I think will be the inspiration to many, Nancy Ellen Abrams and Joel Primack.  Check out their book, The New Universe and the Human Future:  How a Shared Cosmology Can Transform the World.     I will give them the last word:
What would it take, and mean, for Earth's citizens to become a cosmic society, a society capable of thinking in, and acting for, the extremely long term? The possibility of becoming a cosmic society may seem abstract, even pie-in-the-sky silly right now -- but in fact, it may only be possible now. There may be freedoms and resources available today that in a generation or two will disappear unless changes occur. How can we seize this opportunity? How can we help the world's people to recognize that the new cosmos is everyone's home, its origin story is everyone's story, and that sharing the unique place of intelligent life in this universe is a bond that unites us all?

Our goal in this book and this website is to inspire readers to imagine what a cosmic society that accepts and lives by the new cosmological concepts could become, and to start becoming it. We believe this may be humanity's best chance for a very long and successful future. And our best chance for infusing today with the hope and optimism necessary to get there.


  1. "I think the task of religion is to further the possibility of survival of the human species and to preserve our ecosystem for future generations."

    I think so, too. Or, at least, I think that's part of what religion is about.

    The difference is, I know for a fact that such "task" cannot be established scientifically, or, in your terminology, as a matter of public information. It is not a testable or falsifiable proposition.

    "The amazing thing is that the universe has evolved consciousness. We are it. We are literally the universe's eyes, ears, and thoughts. That is valuable. Far more valuable than we may realize. It is worth preserving."

    Again, if those are meaningful scientific or public statements, how do you propose that they be tested to determine their truth or falsehood? They are assertions of value. I happen to agree with them. In fact, in my judgment, they are in some sense re-statements of Christian revelation. And though they may become, with skillful advocacy, the basis for considerable concerted human effort, I don't see how, in any sense, they can be called scientific, or even "public," in your sense (excepting the part containing the factual proposition that we have senses).

  2. I am not saying that the task of religion can be established scientifically.

    We can debate openly and publicly my statements on the task of religion or the human project.

    They are my opinions. I claim no supernatural authority or special revelation for them. They rise or fall on their merit and whether or not I am persuasive.

== Someone pasted data records at this point ==
-- begin --
(1)
Theoretical PXRD pattern of Y2Mo4O15 for Cu Ka, from a cell relaxed with PBE+U.
No peak broadening, texture or thermal motion is included.

Unit cell a=6.9318 b=9.7365 c=10.8116 alpha=90.00 beta=104.98 gamma=90.00
Sites, in units of the cell vectors:
Y: 0.2066 0.0234 0.2752
Y: 0.2066 0.4766 0.7752
Y: 0.7934 0.5234 0.2248
Y: 0.7934 0.9766 0.7248
Mo: 0.0804 0.7434 0.0096
Mo: 0.0804 0.7566 0.5096
Mo: 0.3837 0.0944 0.8439
Mo: 0.3837 0.4056 0.3439
Mo: 0.6163 0.5944 0.6561
Mo: 0.6163 0.9056 0.1561
Mo: 0.9196 0.2434 0.4904
Mo: 0.9196 0.2566 0.9904
O: 0.0277 0.1274 0.3999
O: 0.0277 0.3726 0.8999
O: 0.1151 0.1645 0.0999
O: 0.1151 0.3355 0.5999
O: 0.1270 0.0521 0.8147
O: 0.1270 0.4479 0.3147
O: 0.2183 0.6511 0.9176
O: 0.2183 0.8489 0.4176
O: 0.2425 0.6363 0.6168
O: 0.2425 0.8637 0.1168
O: 0.3856 0.2236 0.3487
O: 0.3856 0.2764 0.8487
O: 0.4558 0.0271 0.7096
O: 0.4558 0.4729 0.2096
O: 0.5000 0.0000 0.0000
O: 0.5000 0.5000 0.5000
O: 0.5442 0.5271 0.7904
O: 0.5442 0.9729 0.2904
O: 0.6144 0.7236 0.1513
O: 0.6144 0.7764 0.6513
O: 0.7575 0.1363 0.8832
O: 0.7575 0.3637 0.3832
O: 0.7817 0.1511 0.5824
O: 0.7817 0.3489 0.0824
O: 0.8730 0.5521 0.6853
O: 0.8730 0.9479 0.1853
O: 0.8849 0.6645 0.4001
O: 0.8849 0.8355 0.9001
O: 0.9723 0.6274 0.1001
O: 0.9723 0.8726 0.6001

Principal peaks in the range 2θ = 15–90°, by angle:
| d [Å] | Position (°2θ) | I/Imax |
| --- | --- | --- |
| 4.602 | 19.29 | 31 |
| 4.499 | 19.73 | 33 |
| 4.274 | 20.78 | 52 |
| 3.682 | 24.17 | 46 |
| 3.561 | 25.01 | 100 |
| 3.402 | 26.19 | 50 |
| 3.222 | 27.68 | 36 |
| 2.678 | 33.46 | 30 |

(2)
Theoretical PXRD pattern of Y4Mo6O19 for Cu Ka, from a cell relaxed with PBE+U.
No peak broadening, texture or thermal motion is included.

Unit cell a=7.8638 b=7.8638 c=7.8638 alpha=109.47 beta=109.47 gamma=109.47
Sites, in units of the cell vectors:
Y: 0.0000 0.0000 0.7097
Y: 0.0000 0.7097 0.0000
Y: 0.2903 0.2903 0.2903
Y: 0.7097 0.0000 0.0000
Mo: 0.1412 0.6412 0.5000
Mo: 0.3588 0.5000 0.8588
Mo: 0.5000 0.1412 0.6412
Mo: 0.5000 0.8588 0.3588
Mo: 0.6412 0.5000 0.1412
Mo: 0.8588 0.3588 0.5000
O: 0.0000 0.0000 0.0000
O: 0.0000 0.3193 0.3193
O: 0.0000 0.6807 0.6807
O: 0.0464 0.2901 0.6701
O: 0.2436 0.9536 0.6236
O: 0.2901 0.6701 0.0464
O: 0.3193 0.0000 0.3193
O: 0.3193 0.3193 0.0000
O: 0.3299 0.6200 0.3764
O: 0.3764 0.3299 0.6200
O: 0.3800 0.7099 0.7564
O: 0.6200 0.3764 0.3299
O: 0.6236 0.2436 0.9536
O: 0.6701 0.0464 0.2901
O: 0.6807 0.0000 0.6807
O: 0.6807 0.6807 0.0000
O: 0.7099 0.7564 0.3800
O: 0.7564 0.3800 0.7099
O: 0.9536 0.6236 0.2436

Principal peaks in the range 2θ = 15–90°, by angle:
| d [Å] | Position (°2θ) | I/Imax |
| --- | --- | --- |
| 4.540 | 19.55 | 35 |
| 3.707 | 24.01 | 52 |
| 2.871 | 31.15 | 100 |
| 2.621 | 34.21 | 19 |
| 2.427 | 37.04 | 53 |
| 1.781 | 51.30 | 74 |
| 1.658 | 55.42 | 26 |
| 1.513 | 61.25 | 31 |

=====

Diffraction record for LiMn5O3F5. The X-ray powder pattern is simulated, not measured: it uses the PBE+U geometry in Alexandria and CuKα.

Structure:
abc: 6.401 6.401 6.386
-- stop --

    What I suggest is that religion use as its sources for meaning what we learn from public knowledge as opposed to special revelation.

    I further suggest that we engage in the manner of public discourse (ie. reason) rather than make appeals to our special revelation (ie. God's Word) as a source for authority.

  3. "When someone says to me that science cannot explain everything..." how do they know that? Maybe eventually it can.

    (I just read in the news that science can now confirm and maybe explain why conservatives are stupid racists!)

    "The amazing thing is that the universe has evolved consciousness"

    More amazing to me is that it has evolved self awareness. It can look at itself and say to itself "you are gorgeous, baby"

    The Universe may actually be narcissistic!

    Whoever and whatever God is, religion is the natural reaction we, the self aware element of the Universe, have when we get in touch with God.

    The question might be, why did the Universe evolve such a trait? Self awareness I can almost get. But religion? Por Qua?

  4. @Jodie

    Whoever and whatever God is, religion is the natural reaction we, the self aware element of the Universe, have when we get in touch with God.

